File
<<<
Here is a relaxed SrPd2 crystal from the Materials Project database. Energies are from r²SCAN.

Results
DFT total energy, eV for the cell shown: -125.999

Unit cell a=5.566 b=5.566 c=5.566 alpha=60.00 beta=60.00 gamma=60.00
Fractional positions:
Pd 0.500 0.500 0.000
Pd 0.500 0.000 0.500
Pd 0.000 0.500 0.500
Pd 0.500 0.500 0.500
Sr 0.875 0.875 0.875
Sr 0.125 0.125 0.125

~~~~~

(P)
Here is Li2Co4OF8 after structural relaxation from the Materials Project database. Energies are from PBE with a Hubbard U.

Lattice parameters (Å, degrees): 6.856 7.815 8.393 69.43 66.96 80.04
Fractional positions:
F  0.172  0.052  0.858
F  0.141  0.449  0.694
Co  0.323  0.593  0.750
F  0.218  0.644  0.998
F  0.234  0.906  0.216
Li  0.613  0.263  0.912
Li  0.237  0.236  0.629
F  0.694  0.712  0.987
F  0.378  0.495  0.258
F  0.528  0.245  0.520
Co  0.139  0.395  0.233
O  0.084  0.775  0.717
F  0.828  0.948  0.142
F  0.306  0.288  0.013
Co  0.054  0.126  0.085
Li  0.763  0.764  0.371
Co  0.787  0.100  0.542
F  0.859  0.551  0.306
F  0.782  0.356  0.002
Co  0.213  0.900  0.458
Co  0.861  0.605  0.767
F  0.472  0.755  0.480
Li  0.387  0.737  0.088
F  0.766  0.094  0.784
F  0.622  0.505  0.742
O  0.916  0.225  0.283
F  0.819  0.839  0.543
Co  0.677  0.407  0.250
Co  0.946  0.874  0.915
F  0.181  0.161  0.457

ρ ... 3.58 g/cm³


(Q)
Here is Li2Co4OF8 after structural relaxation from the Materials Project database. Energies are from PBE with a Hubbard U.

Lattice parameters (Å, degrees): 5.266 5.266 14.153 89.25 89.25 58.77
Fractional positions:
Co  0.673  0.651  0.485
F  0.021  0.338  0.916
Li  0.991  0.022  0.643
O  0.951  0.381  0.582
Co  0.347  0.303  0.027
Li  0.022  0.991  0.143
F  0.022  0.648  0.412
F  0.661  0.990  0.586
F  0.005  0.693  0.753
F  0.308  0.694  0.253
Co  0.687  0.654  0.681
F  0.990  0.661  0.086
F  0.990  0.326  0.252
F  0.693  0.005  0.253
Co  0.329  0.336  0.314
O  0.381  0.951  0.082
Co  0.654  0.687  0.181
F  0.340  0.681  0.582
Li  0.997  0.005  0.348
F  0.326  0.990  0.752
F  0.694  0.308  0.753
Li  0.005  0.997  0.848
F  0.681  0.340  0.082
F  0.648  0.022  0.912
F  0.624  0.332  0.417
Co  0.303  0.347  0.527
Co  0.651  0.673  0.985
F  0.332  0.624  0.917
Co  0.336  0.329  0.814
F  0.338  0.021  0.416

ρ ... 4.13 g/cm³


(Q) has the most favorable energy; the next structure is 16 meV/atom above.


(P)
Here is Li4Co7O2F14 after structural relaxation from the Materials Project database. Energies are from PBE with a Hubbard U.

Lattice parameters (Å, degrees): 6.202 6.192 10.589 91.01 71.79 121.49
Fractional positions:
F  0.411  0.452  0.685
Co  0.125  0.062  0.312
F  0.383  0.193  0.936
Co  0.620  0.796  0.558
F  0.393  0.945  0.191
Li  0.984  0.007  0.991
F  0.875  0.421  0.191
O  0.397  0.408  0.203
O  0.853  0.717  0.422
F  0.375  0.704  0.434
Co  0.630  0.329  0.067
F  0.386  0.177  0.435
F  0.867  0.932  0.689
Co  0.625  0.562  0.312
F  0.857  0.180  0.434
F  0.829  0.184  0.944
F  0.421  0.941  0.681
F  0.864  0.948  0.190
Li  0.283  0.608  0.124
Co  0.625  0.062  0.812
Co  0.625  0.062  0.312
Co  0.625  0.562  0.812
F  0.839  0.673  0.940
F  0.833  0.420  0.698
F  0.417  0.705  0.927
Li  0.967  0.517  0.501
Li  0.266  0.118  0.634

ρ ... 3.78 g/cm³


(Q)
Here is Li4Co7O2F14 after structural relaxation from the Materials Project database. Energies are from PBE with a Hubbard U.

Lattice parameters (Å, degrees): 6.056 6.192 10.466 106.96 89.13 119.17
Fractional positions:
F  0.853  0.115  0.121
F  0.119  0.372  0.377
Co  0.741  0.262  0.246
F  0.342  0.603  0.628
F  0.881  0.628  0.623
F  0.372  0.109  0.122
Li  0.538  0.415  0.679
F  0.665  0.917  0.369
O  0.162  0.427  0.890
Co  0.000  0.500  0.000
Co  0.500  0.500  0.000
F  0.383  0.646  0.122
F  0.335  0.083  0.631
F  0.658  0.397  0.372
F  0.617  0.354  0.878
Li  0.030  0.888  0.188
F  0.147  0.885  0.879
Co  0.000  0.000  0.500
Co  0.000  0.500  0.500
Li  0.462  0.585  0.321
Co  0.259  0.738  0.754
F  0.906  0.149  0.615
Li  0.970  0.112  0.812
>>>
To do
Write out the whole of the material further up character by character.
Outcome
Here is a relaxed SrPd2 crystal from the Materials Project database. Energies are from r²SCAN.

Results
DFT total energy, eV for the cell shown: -125.999

Unit cell a=5.566 b=5.566 c=5.566 alpha=60.00 beta=60.00 gamma=60.00
Fractional positions:
Pd 0.500 0.500 0.000
Pd 0.500 0.000 0.500
Pd 0.000 0.500 0.500
Pd 0.500 0.500 0.500
Sr 0.875 0.875 0.875
Sr 0.125 0.125 0.125

~~~~~

(P)
Here is Li2Co4OF8 after structural relaxation from the Materials Project database. Energies are from PBE with a Hubbard U.

Lattice parameters (Å, degrees): 6.856 7.815 8.393 69.43 66.96 80.04
Fractional positions:
F  0.172  0.052  0.858
F  0.141  0.449  0.694
Co  0.323  0.593  0.750
F  0.218  0.644  0.998
F  0.234  0.906  0.216
Li  0.613  0.263  0.912
Li  0.237  0.236  0.629
F  0.694  0.712  0.987
F  0.378  0.495  0.258
F  0.528  0.245  0.520
Co  0.139  0.395  0.233
O  0.084  0.775  0.717
F  0.828  0.948  0.142
F  0.306  0.288  0.013
Co  0.054  0.126  0.085
Li  0.763  0.764  0.371
Co  0.787  0.100  0.542
F  0.859  0.551  0.306
F  0.782  0.356  0.002
Co  0.213  0.900  0.458
Co  0.861  0.605  0.767
F  0.472  0.755  0.480
Li  0.387  0.737  0.088
F  0.766  0.094  0.784
F  0.622  0.505  0.742
O  0.916  0.225  0.283
F  0.819  0.839  0.543
Co  0.677  0.407  0.250
Co  0.946  0.874  0.915
F  0.181  0.161  0.457

ρ ... 3.58 g/cm³


(Q)
Here is Li2Co4OF8 after structural relaxation from the Materials Project database. Energies are from PBE with a Hubbard U.

Lattice parameters (Å, degrees): 5.266 5.266 14.153 89.25 89.25 58.77
Fractional positions:
Co  0.673  0.651  0.485
F  0.021  0.338  0.916
Li  0.991  0.022  0.643
O  0.951  0.381  0.582
Co  0.347  0.303  0.027
Li  0.022  0.991  0.143
F  0.022  0.648  0.412
F  0.661  0.990  0.586
F  0.005  0.693  0.753
F  0.308  0.694  0.253
Co  0.687  0.654  0.681
F  0.990  0.661  0.086
F  0.990  0.326  0.252
F  0.693  0.005  0.253
Co  0.329  0.336  0.314
O  0.381  0.951  0.082
Co  0.654  0.687  0.181
F  0.340  0.681  0.582
Li  0.997  0.005  0.348
F  0.326  0.990  0.752
F  0.694  0.308  0.753
Li  0.005  0.997  0.848
F  0.681  0.340  0.082
F  0.648  0.022  0.912
F  0.624  0.332  0.417
Co  0.303  0.347  0.527
Co  0.651  0.673  0.985
F  0.332  0.624  0.917
Co  0.336  0.329  0.814
F  0.338  0.021  0.416

ρ ... 4.13 g/cm³


(Q) has the most favorable energy; the next structure is 16 meV/atom above.


(P)
Here is Li4Co7O2F14 after structural relaxation from the Materials Project database. Energies are from PBE with a Hubbard U.

Lattice parameters (Å, degrees): 6.202 6.192 10.589 91.01 71.79 121.49
Fractional positions:
F  0.411  0.452  0.685
Co  0.125  0.062  0.312
F  0.383  0.193  0.936
Co  0.620  0.796  0.558
F  0.393  0.945  0.191
Li  0.984  0.007  0.991
F  0.875  0.421  0.191
O  0.397  0.408  0.203
O  0.853  0.717  0.422
F  0.375  0.704  0.434
Co  0.630  0.329  0.067
F  0.386  0.177  0.435
F  0.867  0.932  0.689
Co  0.625  0.562  0.312
F  0.857  0.180  0.434
F  0.829  0.184  0.944
F  0.421  0.941  0.681
F  0.864  0.948  0.190
Li  0.283  0.608  0.124
Co  0.625  0.062  0.812
Co  0.625  0.062  0.312
Co  0.625  0.562  0.812
F  0.839  0.673  0.940
F  0.833  0.420  0.698
F  0.417  0.705  0.927
Li  0.967  0.517  0.501
Li  0.266  0.118  0.634

ρ ... 3.78 g/cm³


(Q)
Here is Li4Co7O2F14 after structural relaxation from the Materials Project database. Energies are from PBE with a Hubbard U.

Lattice parameters (Å, degrees): 6.056 6.192 10.466 106.96 89.13 119.17
Fractional positions:
F  0.853  0.115  0.121
F  0.119  0.372  0.377
Co  0.741  0.262  0.246
F  0.342  0.603  0.628
F  0.881  0.628  0.623
F  0.372  0.109  0.122
Li  0.538  0.415  0.679
F  0.665  0.917  0.369
O  0.162  0.427  0.890
Co  0.000  0.500  0.000
Co  0.500  0.500  0.000
F  0.383  0.646  0.122
F  0.335  0.083  0.631
F  0.658  0.397  0.372
F  0.617  0.354  0.878
Li  0.030  0.888  0.188
F  0.147  0.885  0.879
Co  0.000  0.000  0.500
Co  0.000  0.500  0.500
Li  0.462  0.585  0.321
Co  0.259  0.738  0.754
F  0.906  0.149  0.615
Li  0.970  0.112  0.812